┌──
# KCd4Hg2Pb (GGA-PBE, relaxed)
# **Calculated total energy**: -9.460 eV/cell
# **Formation energy from the elements**: -0.049 eV per atom
data_KCd4Hg2Pb
_cell_length_a 4.7178
_cell_length_b 4.7178
_cell_length_c 10.7402
_cell_angle_alpha 90.00
_cell_angle_beta 90.00
_cell_angle_gamma 90.00
_space_group_name_H-M_alt 'P 4/m m m'
_space_group_IT_number 123
_space_group_name_Hall '-P 4 2'
loop_
_atom_site_label
_atom_site_fract_x
_atom_site_fract_y
_atom_site_fract_z
K1 0.0000 0.0000 0.0000
Cd1 0.0000 0.5000 0.3083
Hg1 0.5000 0.5000 0.1367
Pb1 0.0000 0.0000 0.5000

***

# K2Cd4Hg3Pb (GGA-PBE, relaxed)
# **Calculated total energy**: -11.705 eV/cell
# **Formation energy from the elements**: -0.124 eV per atom
data_K2Cd4Hg3Pb
_cell_length_a 5.1188
_cell_length_b 5.1188
_cell_length_c 11.8907
_cell_angle_alpha 90.00
_cell_angle_beta 90.00
_cell_angle_gamma 90.00
_space_group_name_H-M_alt 'P -4 m 2'
_space_group_IT_number 115
_space_group_name_Hall 'P -4 -2'
loop_
_atom_site_label
_atom_site_fract_x
_atom_site_fract_y
_atom_site_fract_z
K1 0.0000 0.5000 0.2494
Cd1 0.0000 0.0000 0.5000
Cd2 0.0000 0.5000 0.8668
Cd3 0.5000 0.5000 0.5000
Hg1 0.0000 0.0000 0.0000
Hg2 0.0000 0.5000 0.6266
Pb1 0.5000 0.5000 0.0000

***

# K2Cd4HgPb3 (GGA-PBE, relaxed)
# **Calculated total energy**: -18.157 eV/cell
# **Formation energy from the elements**: -0.087 eV per atom
data_K2Cd4HgPb3
_cell_length_a 5.0920
_cell_length_b 5.0920
_cell_length_c 12.4487
_cell_angle_alpha 90.00
_cell_angle_beta 90.00
_cell_angle_gamma 90.00
_space_group_name_H-M_alt 'P -4 m 2'
_space_group_IT_number 115
_space_group_name_Hall 'P -4 -2'
loop_
_atom_site_label
_atom_site_fract_x
_atom_site_fract_y
_atom_site_fract_z
K1 0.0000 0.5000 0.2491
Cd1 0.0000 0.0000 0.0000
Cd2 0.0000 0.5000 0.6306
Cd3 0.5000 0.5000 0.0000
Hg1 0.0000 0.0000 0.5000
Pb1 0.0000 0.5000 0.8655
Pb2 0.5000 0.5000 0.5000

***

# K2CdHg3Pb4 (GGA-PBE, relaxed)
# **Calculated total energy**: -19.917 eV/cell
# **Formation energy from the elements**: -0.107 eV per atom
data_K2CdHg3Pb4
_cell_length_a 5.1033
_cell_length_b 5.1033
_cell_length_c 12.7693
_cell_angle_alpha 90.00
_cell_angle_beta 90.00
_cell_angle_gamma 90.00
_space_group_name_H-M_alt 'P -4 m 2'
_space_group_IT_number 115
_space_group_name_Hall 'P -4 -2'
loop_
_atom_site_label
_atom_site_fract_x
_atom_site_fract_y
_atom_site_fract_z
K1 0.0000 0.5000 0.2450
Cd1 0.5000 0.5000 0.0000
Hg1 0.0000 0.0000 0.0000
Hg2 0.0000 0.5000 0.6411
Pb1 0.0000 0.0000 0.5000
Pb2 0.0000 0.5000 0.8699
Pb3 0.5000 0.5000 0.5000

***

# KCd2Hg4Pb (GGA-PBE, relaxed)
# **Calculated total energy**: -25.631 eV/cell
# **Formation energy from the elements**: -0.088 eV per atom
data_KCd2Hg4Pb
_cell_length_a 4.9245
_cell_length_b 4.9245
_cell_length_c 33.6946
_cell_angle_alpha 90.00
_cell_angle_beta 90.00
_cell_angle_gamma 120.00
_space_group_name_H-M_alt 'R -3 m'
_space_group_IT_number 166
_space_group_name_Hall '-R 3 2"'
loop_
_atom_site_label
_atom_site_fract_x
_atom_site_fract_y
_atom_site_fract_z
K1 0.0000 0.0000 0.0000
Cd1 0.0000 0.0000 0.2444
Hg1 0.0000 0.0000 0.1222
Hg2 0.0000 0.0000 0.3943
Pb1 0.0000 0.0000 0.5000

***

# K2Cd3HgPb4 (GGA-PBE, relaxed)
# **Calculated total energy**: -20.975 eV/cell
# **Formation energy from the elements**: -0.090 eV per atom
data_K2Cd3HgPb4
_cell_length_a 5.0749
_cell_length_b 5.0749
_cell_length_c 12.7906
_cell_angle_alpha 90.00
_cell_angle_beta 90.00
_cell_angle_gamma 90.00
_space_group_name_H-M_alt 'P -4 m 2'
_space_group_IT_number 115
_space_group_name_Hall 'P -4 -2'
loop_
_atom_site_label
_atom_site_fract_x
_atom_site_fract_y
_atom_site_fract_z
K1 0.0000 0.5000 0.2441
Cd1 0.0000 0.0000 0.0000
Cd2 0.0000 0.5000 0.6390
Hg1 0.5000 0.5000 0.0000
Pb1 0.0000 0.0000 0.5000
Pb2 0.0000 0.5000 0.8679
Pb3 0.5000 0.5000 0.5000

***

# KCdHgPb (GGA-PBE, relaxed)
# **Calculated total energy**: -25.310 eV/cell
# **Formation energy from the elements**: -0.076 eV per atom
data_KCdHgPb
_cell_length_a 7.8237
_cell_length_b 7.8237
_cell_length_c 7.8237
└──
Please set down the listing above with every line break kept.
# KCd4Hg2Pb (GGA-PBE, relaxed)
# **Calculated total energy**: -9.460 eV/cell
# **Formation energy from the elements**: -0.049 eV per atom
data_KCd4Hg2Pb
_cell_length_a 4.7178
_cell_length_b 4.7178
_cell_length_c 10.7402
_cell_angle_alpha 90.00
_cell_angle_beta 90.00
_cell_angle_gamma 90.00
_space_group_name_H-M_alt 'P 4/m m m'
_space_group_IT_number 123
_space_group_name_Hall '-P 4 2'
loop_
_atom_site_label
_atom_site_fract_x
_atom_site_fract_y
_atom_site_fract_z
K1 0.0000 0.0000 0.0000
Cd1 0.0000 0.5000 0.3083
Hg1 0.5000 0.5000 0.1367
Pb1 0.0000 0.0000 0.5000

***

# K2Cd4Hg3Pb (GGA-PBE, relaxed)
# **Calculated total energy**: -11.705 eV/cell
# **Formation energy from the elements**: -0.124 eV per atom
data_K2Cd4Hg3Pb
_cell_length_a 5.1188
_cell_length_b 5.1188
_cell_length_c 11.8907
_cell_angle_alpha 90.00
_cell_angle_beta 90.00
_cell_angle_gamma 90.00
_space_group_name_H-M_alt 'P -4 m 2'
_space_group_IT_number 115
_space_group_name_Hall 'P -4 -2'
loop_
_atom_site_label
_atom_site_fract_x
_atom_site_fract_y
_atom_site_fract_z
K1 0.0000 0.5000 0.2494
Cd1 0.0000 0.0000 0.5000
Cd2 0.0000 0.5000 0.8668
Cd3 0.5000 0.5000 0.5000
Hg1 0.0000 0.0000 0.0000
Hg2 0.0000 0.5000 0.6266
Pb1 0.5000 0.5000 0.0000

***

# K2Cd4HgPb3 (GGA-PBE, relaxed)
# **Calculated total energy**: -18.157 eV/cell
# **Formation energy from the elements**: -0.087 eV per atom
data_K2Cd4HgPb3
_cell_length_a 5.0920
_cell_length_b 5.0920
_cell_length_c 12.4487
_cell_angle_alpha 90.00
_cell_angle_beta 90.00
_cell_angle_gamma 90.00
_space_group_name_H-M_alt 'P -4 m 2'
_space_group_IT_number 115
_space_group_name_Hall 'P -4 -2'
loop_
_atom_site_label
_atom_site_fract_x
_atom_site_fract_y
_atom_site_fract_z
K1 0.0000 0.5000 0.2491
Cd1 0.0000 0.0000 0.0000
Cd2 0.0000 0.5000 0.6306
Cd3 0.5000 0.5000 0.0000
Hg1 0.0000 0.0000 0.5000
Pb1 0.0000 0.5000 0.8655
Pb2 0.5000 0.5000 0.5000

***

# K2CdHg3Pb4 (GGA-PBE, relaxed)
# **Calculated total energy**: -19.917 eV/cell
# **Formation energy from the elements**: -0.107 eV per atom
data_K2CdHg3Pb4
_cell_length_a 5.1033
_cell_length_b 5.1033
_cell_length_c 12.7693
_cell_angle_alpha 90.00
_cell_angle_beta 90.00
_cell_angle_gamma 90.00
_space_group_name_H-M_alt 'P -4 m 2'
_space_group_IT_number 115
_space_group_name_Hall 'P -4 -2'
loop_
_atom_site_label
_atom_site_fract_x
_atom_site_fract_y
_atom_site_fract_z
K1 0.0000 0.5000 0.2450
Cd1 0.5000 0.5000 0.0000
Hg1 0.0000 0.0000 0.0000
Hg2 0.0000 0.5000 0.6411
Pb1 0.0000 0.0000 0.5000
Pb2 0.0000 0.5000 0.8699
Pb3 0.5000 0.5000 0.5000

***

# KCd2Hg4Pb (GGA-PBE, relaxed)
# **Calculated total energy**: -25.631 eV/cell
# **Formation energy from the elements**: -0.088 eV per atom
data_KCd2Hg4Pb
_cell_length_a 4.9245
_cell_length_b 4.9245
_cell_length_c 33.6946
_cell_angle_alpha 90.00
_cell_angle_beta 90.00
_cell_angle_gamma 120.00
_space_group_name_H-M_alt 'R -3 m'
_space_group_IT_number 166
_space_group_name_Hall '-R 3 2"'
loop_
_atom_site_label
_atom_site_fract_x
_atom_site_fract_y
_atom_site_fract_z
K1 0.0000 0.0000 0.0000
Cd1 0.0000 0.0000 0.2444
Hg1 0.0000 0.0000 0.1222
Hg2 0.0000 0.0000 0.3943
Pb1 0.0000 0.0000 0.5000

***

# K2Cd3HgPb4 (GGA-PBE, relaxed)
# **Calculated total energy**: -20.975 eV/cell
# **Formation energy from the elements**: -0.090 eV per atom
data_K2Cd3HgPb4
_cell_length_a 5.0749
_cell_length_b 5.0749
_cell_length_c 12.7906
_cell_angle_alpha 90.00
_cell_angle_beta 90.00
_cell_angle_gamma 90.00
_space_group_name_H-M_alt 'P -4 m 2'
_space_group_IT_number 115
_space_group_name_Hall 'P -4 -2'
loop_
_atom_site_label
_atom_site_fract_x
_atom_site_fract_y
_atom_site_fract_z
K1 0.0000 0.5000 0.2441
Cd1 0.0000 0.0000 0.0000
Cd2 0.0000 0.5000 0.6390
Hg1 0.5000 0.5000 0.0000
Pb1 0.0000 0.0000 0.5000
Pb2 0.0000 0.5000 0.8679
Pb3 0.5000 0.5000 0.5000

***

# KCdHgPb (GGA-PBE, relaxed)
# **Calculated total energy**: -25.310 eV/cell
# **Formation energy from the elements**: -0.076 eV per atom
data_KCdHgPb
_cell_length_a 7.8237
_cell_length_b 7.8237
_cell_length_c 7.8237